The movie Three Kings is a dark-humored filmed  directed by David O. Russell. It takes place in the 1991 Iraqi uprising against Saddam Hussein. Three American soldiers played by George Clooney, Mark Wahlberge and Ice Cube, go on a journey to kind the gold that Iraq stole from Kuwait. A map that they found leaded them to a bunker in the middle of the dessert, where millions of dollars of gold is hidden, Deeper into their journey, the soldiers find a lot of lost/ stranded Iraqi citizens that are trying to stay alive. After finding the gold, they made an agreement with the iraqis to take them to the Iranian border if they helped them carry the gold. Disobeying the law, they take them to the border where the US military catch up with them and detain them. Fortuantly they made it safely across the border and the three soldiers   

In the aftermath of the Persian Gulf War, 4 soldiers set out to steal gold that was stolen from Kuwait, but they discover people who desperately need their help.


The conflicts between Iran and Iraq where fought over religious reasons and oil resources. In 1980, the conflict between Iran and Iraq started when the Shiite revolution occurred in Iran and the Shah was replaced by Ayatollah Khomeini. This crisis alarmed the Sunni leader in Iraq, who's name is Saddam Hussein. The Kjomeini hated Americans therefore the USA supported Iraq. Fear that the revolution would eventually spread to Iraq, a war broke out. This war was over religion, and in 1988 the UN finally halted the revolution and formed a treaty. Saddam Hussein feared about the spread of Shiite Islam and killed many Kurds and Shiites who were living in his own country. In 1990, Iraq invaded Kuwait which ordered the USA to place sanction on Iraq to pull out. A coalition was formed against Iraq and 30 countries joined. They believed that if Israel joined the coalition, they would lose some of the Arab support. However Saddam Hussein tried to get Israelis involved and by doing this he decided to fire missiles at them. All in all, the crisis between Iran and Iraq were brought together and fought over religion. 

There were many outcomes of the four Arab-Israeli wars, the first one being the Suez Crisis in 1956. When Nasser -the President of Egypt- nationalized the Suez Canal, the change of the influence changed power in the region from British and French to Russian and American. They had a secret deal that the French and British would join in once this happened. This made the USA to threaten to cut off the oil supply if they didn't back out. In 1967, the 6 Day War occurred when Nasser ordered the UN Peacekeeping forced to leave the Suez Canal. The Egyptians tried to attack Israel by getting close to their border but the Israelis attacked first with the help of intelligence that knew Egypt's plan to invade. The war lasted 6 days, and it consisted of taking over Sinai peninsula, Golan Heights, and West Bank. The Israelis were destroying the Egyptians until the USA needed to interfere and stopped the attack from continuing. In 1973, the Holiday the Yom Kippur the Egyptians planned another attack. After the USA sent aid to Israel, the war ended. In 1978, President Carter hosted a Peace Treaty called the Camp David Accords which was between the Egyptians and Israelis, and they agreed on Land for Peace.  

France and Britain made the crisis much worst in the Middle East region following World War 1 because of the break of the Ottoman Empire and the Balfour Declaration. After the Ottoman empire was broken up in 1916, French and Britain divided the territories into mandates; this was known as the Sykes-Picot agreement. Their main interest was focused on the rich oil and the convenience of the Suez Canal that was used as a short cut to Asia. This split up caused a lot of tension and conflicting means within the Middle East. The other main cause was the Balfour Declaration which was an agreement in 1917 by the British to set up a Jewish homeland in Palestine. They also promised the Arabs independence in the region. This was the beginning of the Arab-Israeli conflict. After the Holocaust, many Jews left Germany and migrated to Israel. In 1947- by trying to help- the UN suggested a partition which clearly made the Jews satisfied but unfortunately left the Arabs angry. After hearing rumors about the Arabs planning an attack, the Jews attack the Arab League countries and won territory from the partition. The UN's intention of creating world peace was a fail in this situation, by trying to make everyone happy just resulted in a war.


    Write something about yourself. No need to be fancy, just an overview.

== Between two parts of the article: materials data ==
┌──
First-principles (GGA-PBEsol) data for a relaxed structure of Cr2CoRh, as listed in Alexandria via LeMat-Bulk.

POSCAR file:
```
Cr2CoRh
1.0
2.878 0.000 0.000
0.000 2.878 0.000
0.000 0.000 5.586
Cr Co Rh
2 1 1
Direct
0.000 0.000 0.000
0.500 0.500 0.255
0.500 0.500 0.817
0.000 0.000 0.521
```

## Properties
Energy relative to the elements, eV per formula unit: 0.4

First-principles (GGA-PBEsol) data for a relaxed structure of Cr2CoRh, as listed in Alexandria via LeMat-Bulk.

POSCAR file:
```
Cr2CoRh
1.0
2.536 0.000 0.000
0.000 2.536 0.000
0.000 0.000 7.104
Cr Co Rh
2 1 1
Direct
0.000 0.000 0.237
0.000 0.000 0.763
0.500 0.500 0.000
0.500 0.500 0.500
```

## Properties
Energy relative to the elements, eV per formula unit: 0.1

First-principles (GGA-PBEsol) data for a relaxed structure of Cr2CoRh, as listed in Alexandria via LeMat-Bulk.

POSCAR file:
```
Cr2CoRh
1.0
2.551 0.000 0.000
0.000 3.539 0.000
0.000 0.000 5.070
Cr Co Rh
2 1 1
Direct
0.000 0.000 0.230
0.000 0.000 0.770
0.500 0.500 0.000
0.500 0.500 0.500
```

## Properties
Energy relative to the elements, eV per formula unit: 0.0

First-principles (GGA-PBEsol) data for a relaxed structure of CrCoRu2, as listed in Alexandria via LeMat-Bulk.

POSCAR file:
```
CrCoRu2
1.0
3.934 0.000 0.000
0.000 1.300 4.682
0.000 -1.300 4.682
Cr Co Ru
1 1 2
Direct
0.000 0.000 0.000
0.500 0.127 0.127
0.000 0.732 0.732
0.500 0.392 0.392
```

## Properties
Energy relative to the elements, eV per formula unit: 0.3

First-principles (GGA-PBEsol) data for a relaxed structure of CrCoRu2, as listed in Alexandria via LeMat-Bulk.

POSCAR file:
```
CrCoRu2
1.0
2.588 0.000 0.000
0.000 2.588 0.000
0.000 0.000 7.173
Cr Co Ru
1 1 2
Direct
0.000 0.000 0.000
0.000 0.000 0.500
0.500 0.500 0.252
0.500 0.500 0.748
```

## Properties
Energy relative to the elements, eV per formula unit: 0.6

First-principles (GGA-PBEsol) data for a relaxed structure of CrCoRu2, as listed in Alexandria via LeMat-Bulk.

POSCAR file:
```
CrCoRu2
1.0
3.664 0.000 0.000
0.000 3.664 0.000
0.000 0.000 3.567
Cr Co Ru
1 1 2
Direct
0.000 0.000 0.000
0.500 0.500 0.000
0.000 0.500 0.500
0.500 0.000 0.500
```

## Properties
Energy relative to the elements, eV per formula unit: 0.3

First-principles (GGA-PBEsol) data for a relaxed structure of CrCoRu, as listed in Alexandria via LeMat-Bulk.

POSCAR file:
```
CrCoRu
1.0
-1.440 1.440 4.276
1.440 -1.440 4.276
1.440 1.440 -4.276
Cr Co Ru
1 1 1
Direct
0.000 0.000 0.000
0.352 0.352 0.000
0.666 0.666 0.000
```

## Properties
Energy relative to the elements, eV per formula unit: 0.6

First-principles (GGA-PBEsol) data for a relaxed structure of CrCoRu2, as listed in Alexandria via LeMat-Bulk.

POSCAR file:
```
CrCoRu2
1.0
-1.408 2.066 4.196
1.408 -2.066 4.196
1.408 2.066 -4.196
Cr Co Ru
1 1 2
Direct
0.000 0.000 0.000
0.219 0.719 0.500
0.475 0.475 0.000
0.751 0.251 0.500
```

## Properties
Energy relative to the elements, eV per formula unit: 1.1

no.,DOS at the Fermi energy (states/eV/atom),volume (Å³/cell)
1,1.1010,46
└──


    April 2013

**Inserted here: calculated crystals**
=====
Record 1
VASP calculation (GGA-PBE) on a relaxed MnIr2Cl crystal.

a = 4.580 Å, b = 2.886 Å, c = 4.649 Å
α = 90.74°, β = 90.00°, γ = 90.00°
Element x y z (fractional)
Mn  0.500  0.250  0.250
Ir  0.000  0.499  0.495
Ir  0.000  0.001  0.005
Cl  0.500  0.750  0.750

Volume in Å³/cell: 61.4
Raw formation energy in eV/atom: 0.49
Fermi-level density of states in states/eV per cell: 3.4
SG: P2/m

Record 2
VASP calculation (GGA-PBE) on a relaxed MnIrCl2 crystal.

a = 2.976 Å, b = 2.975 Å, c = 10.878 Å
α = 90.00°, β = 90.00°, γ = 90.00°
Element x y z (fractional)
Ir  0.500  0.500  0.250
Mn  0.500  0.500  0.750
Cl  0.000  0.000  0.894
Cl  0.000  0.000  0.606

Volume in Å³/cell: 96.3
Raw formation energy in eV/atom: 0.54
Fermi-level density of states in states/eV per cell: 2.6
SG: P4/mmm

Record 3
VASP calculation (GGA-PBE) on a relaxed MnIrCl2 crystal.

a = 3.405 Å, b = 3.469 Å, c = 7.251 Å
α = 90.00°, β = 90.00°, γ = 90.00°
Element x y z (fractional)
Cl  0.500  0.500  0.346
Cl  0.000  0.000  0.894
Ir  0.000  0.000  0.573
Mn  0.500  0.500  0.687

Volume in Å³/cell: 85.6
Raw formation energy in eV/atom: 0.10
Fermi-level density of states in states/eV per cell: 0.8
SG: Pmm2

Among the records above, which one has the lowest raw formation energy? number 3

Which value of volume does entry 3 give? 85.6 Å³/cell

Among the records above, which one has the lowest raw formation energy? number 3

=====

AlFeO3 | GGA+U | relaxed

The structure belongs to space group Pm-3m (No. 221); the cell edges are 3.7519, 3.7519 and 3.7519 Å and the angles 90.00°, 90.00° and 90.00°. Symmetry generates all atoms from Al at (0.0000, 0.0000, 0.0000), Fe at (0.5000, 0.5000, 0.5000) and O at (0.0000, 0.5000, 0.5000).

As for the uncorrected energy: -0.419 Ry/atom. The density of states at the Fermi level is 1.2 states/eV per cell. For the volume, the calculation gives 52.8 Å³ per cell.
=====

